Condoms and Protective Barriers
Protective barriers, including external condoms, internal condoms and dental dams reduce the risk of sexually transmitted infections (STIs). Besides choosing to not have sex, condoms (external and internal), as well as dental dams, are the only way to reduce the risk of STIs.
-- begin --
VASP calculation (GGA-PBE) on a geometry-optimized Li3U3CrSe8 structure. Values from VASP.

```
&SYSTEM
  ibrav = 0, nat = 15, ntyp = 4
/
ATOMIC_SPECIES
Li 6.94 Li.upf
U 238.03 U.upf
Cr 52.00 Cr.upf
Se 78.96 Se.upf
CELL_PARAMETERS angstrom
6.9170 -3.9689 0.0000
6.9170 3.9689 0.0000
-4.6078 0.0000 6.5552
ATOMIC_POSITIONS crystal
Li 0.0000 0.0000 0.0000
Li 0.0000 0.5000 0.0000
Li 0.5000 0.0000 0.0000
U 0.0000 0.5000 0.5000
U 0.5000 0.0000 0.5000
U 0.5000 0.5000 0.5000
Cr 0.0000 0.0000 0.5000
Se 0.2322 0.7641 0.2587
Se 0.2359 0.7678 0.7413
Se 0.2382 0.2382 0.7430
Se 0.2458 0.2458 0.2361
Se 0.7542 0.7542 0.7639
Se 0.7618 0.7618 0.2570
Se 0.7641 0.2322 0.2587
Se 0.7678 0.2359 0.7413
```

Results
- DFT total energy: -92.8 eV for the cell shown
- Space group: C2/m, No. 12
- Energy relative to the elements, uncorrected: -1.050 eV/atom

=====

Record 1
{"formula": "Rb3AcNp2Te6", "functional": "GGA-PBE", "state": "optimized geometry", "cell": [[8.147, -0.002, -0.001], [-4.073, 7.056, -0.001], [-1.360, -2.355, 8.550]], "species": ["Np", "Rb", "Rb", "Ac", "Te", "Te", "Te", "Rb", "Te", "Te", "Te", "Np"], "frac_coords": [[0.333, 0.667, 0.000], [0.500, 0.500, 0.500], [0.837, 0.163, 0.500], [0.000, 0.000, 0.000], [0.931, 0.583, 0.795], [0.720, 0.720, 0.204], [0.069, 0.417, 0.205], [0.163, 0.837, 0.500], [0.583, 0.931, 0.795], [0.417, 0.069, 0.205], [0.280, 0.280, 0.796], [0.667, 0.333, 0.000]], "crystal_system": "monoclinic", "dos_ef_per_ev_cell": 17.7, "e_form_raw_ev_per_atom": -1.0715, "total_magnetization_mub_per_cell": 8.00}

Record 2
{"formula": "AcNpRh2", "functional": "GGA-PBE", "state": "optimized geometry", "cell": [[-0.519, -2.402, 3.712], [-1.772, -4.079, -0.218], [4.453, -4.388, 0.453]], "species": ["Rh", "Rh", "Ac", "Np"], "frac_coords": [[0.713, 0.713, 0.862], [0.287, 0.287, 0.138], [0.500, 0.500, 0.500], [0.000, 0.000, 0.000]], "crystal_system": "trigonal", "dos_ef_per_ev_cell": 7.4, "total_magnetization_mub_per_cell": 3.32, "ef_ev_per_atom": -0.473}

Record 3
{"formula": "AcNpRh2", "functional": "GGA-PBE", "state": "optimized geometry", "cell": [[-0.503, -4.660, 1.836], [3.584, -1.942, 2.954], [-0.884, -0.690, 4.907]], "species": ["Np", "Ac", "Rh", "Rh"], "frac_coords": [[0.000, 0.000, 0.000], [0.500, 0.500, 0.500], [0.750, 0.750, 0.750], [0.250, 0.250, 0.250]], "crystal_system": "cubic", "dos_ef_per_ev_cell": 8.9, "total_magnetization_mub_per_cell": 3.45, "ef_ev_per_atom": -0.245}

Record 4
{"formula": "AcNpRh2", "functional": "GGA-PBE", "state": "optimized geometry", "cell": [[-1.463, -1.565, 2.807], [-3.165, -2.511, -3.050], [3.348, -3.780, -0.363]], "species": ["Ac", "Rh", "Rh", "Np"], "frac_coords": [[0.500, 0.500, 0.500], [0.000, 0.000, 0.500], [0.000, 0.500, 0.000], [0.500, 0.000, 0.000]], "crystal_system": "tetragonal", "dos_ef_per_ev_cell": 6.8, "total_magnetization_mub_per_cell": 3.63, "ef_ev_per_atom": -0.247}

Record 5
-- stop --
Condoms and internal condoms also prevent pregnancy. Condoms are 98% effective at preventing pregnancy when used consistently and correctly. Internal condoms are 95% effective with perfect use in preventing pregnancy.
Learn how to get free and low-cost safer sex supplies through the Longhorn Wellness Center.
External Condoms
Condoms are a contraceptive method that prevents pregnancy by covering the penis to keep sperm from entering the uterus and fertilizing an egg.
- When used consistently and correctly, condoms are 98% effective at preventing pregnancy.
- Condoms come in a variety of shapes, textures, colors, and sizes. Condoms can be made of latex or non-latex materials such as polyisoprene. The key to condom effectiveness is choosing a condom that works for you and your partner.
- 100% of condoms sold in the United States are tested before sale.
- Adding extra lubricant both inside and outside of the condom can increase sensation for both partners and reduce the risk of condom breakage.
- Condoms can prevent transmission of STIs during vaginal, oral and anal sex. For oral sex, flavored or non-lubricated condoms are recommended.
How To Use a Condom
Get consent.
Check expiration date and open package carefully.
Pinch the tip (1/2 inch) and place on penis.
Roll condom down to the base of the penis.
After sex, withdraw while holding the condom at the base.
Throw condom away. Do not re-use condoms.

Spermicide condoms are not recommended for use.
- Condoms with the spermicide Nonoxynol-9 provide no further protection against pregnancy.
- Can increase the risk of some STIs due to irritation of sensitive genital tissue.
Internal Condoms
The internal condom is a sheath made of a non-latex nitrile material that is placed into the vagina before sex. The internal condom has two flexible rings; one to hold the closed end in place near the cervix (the entrance to the uterus), and one at the open end to hold the condom in place outside the opening of the vagina.
- Internal condoms are 95% effective at preventing pregnancy when used consistently and correctly.
- Internal condoms are considered equally effective as latex external condoms in preventing pregnancy and STIs.
- Good option for people with latex allergies.
How To Use an Internal Condom
Get consent.
Check expiration date and open package carefully.
While holding the outside of the condom at the closed end, squeeze sides of inner ring together with thumb and forefinger and insert into vagina.*
Using a finger, push inner ring as far up as it will go until it rests against cervix.
1.
## Nb2Rh (PBE)

Data for crystalline Nb2Rh at its relaxed geometry.

The space group is Cmmm (No. 65) and the conventional cell measures 4.597, 9.632 and 4.576 Å, with angles of 90.00, 90.00 and 90.00 degrees. The inequivalent atoms are Nb at (0.000, 0.000, 0.000), Nb at (0.000, 0.167, 0.500), Nb at (0.000, 0.500, 0.500) and Rh at (0.000, 0.344, 0.000).

Its total magnetization is 0.00 μB/f.u. The crystal system is orthorhombic. The theoretical density comes out at 9.5 g/cm3. Its formation energy is -232 meV/atom.

=====

2.
## PmTm2Th (PBE)

Data for crystalline PmTm2Th at its relaxed geometry.

The space group is Cmmm (No. 65) and the conventional cell measures 7.153, 9.882 and 3.568 Å, with angles of 90.00, 90.00 and 90.00 degrees. The inequivalent atoms are Pm at (0.000, 0.000, 0.000), Tm at (0.250, 0.250, 0.500) and Th at (0.000, 0.500, 0.000).

Its total magnetization is 0.00 μB/f.u. The crystal system is orthorhombic. Its energy above the lowest structure with this stoichiometry is 8.2 meV/atom. The theoretical density comes out at 9.4 g/cm3. Its formation energy is 22 meV/atom.

=====

3.
## Ce2ZnCu3 (PBE)

Data for crystalline Ce2ZnCu3 at its relaxed geometry.

The space group is Cm (No. 8) and the conventional cell measures 10.024, 4.461 and 6.600 Å, with angles of 90.00, 129.78 and 90.00 degrees. The inequivalent atoms are Ce at (0.000, 0.000, 0.000), Ce at (0.046, 0.000, 0.572), Zn at (0.361, 0.000, 0.162), Cu at (0.187, 0.500, 0.415), Cu at (0.192, 0.500, 0.988) and Cu at (0.355, 0.000, 0.586).

Its total magnetization is 0.85 μB/f.u. The crystal system is monoclinic. The theoretical density comes out at 7.9 g/cm3. Its formation energy is -180 meV/atom.

=====

4.
## CsK3Au8 (PBE)

Data for crystalline CsK3Au8 at its relaxed geometry.

The space group is P3m1 (No. 156) and the conventional cell measures 5.8040, 5.8040 and 10.1026 Å, with angles of 90.00, 90.00 and 120.00 degrees. The inequivalent atoms are Cs at (0.0000, 0.0000, 0.0000), K at (0.0000, 0.0000, 0.3780), K at (0.6667, 0.3333, 0.4992), K at (0.6667, 0.3333, 0.8700), Au at (0.1662, 0.3325, 0.6787), Au at (0.3333, 0.6667, 0.4380), Au at (0.3333, 0.6667, 0.9327) and Au at (0.5006, 0.0012, 0.1976).

Its total magnetization is 0.00 μB/f.u. The crystal system is trigonal. Its energy above the lowest structure with this stoichiometry is 0.0 meV/atom. The theoretical density comes out at 10.3 g/cm3. Its formation energy is -249 meV/atom.

=====

5.
## Er5PuAl3 (PBE)

Data for crystalline Er5PuAl3 at its relaxed geometry.

The space group is P6_3/mcm (No. 193) and the conventional cell measures 8.9910, 8.9910 and 6.4685 Å, with angles of 90.00, 90.00 and 120.00 degrees. The inequivalent atoms are Er at (0.0000, 0.3221, 0.2500), Er at (0.3333, 0.6667, 0.0000), Pu at (0.0000, 0.0000, 0.0000) and Al at (0.0000, 0.3438, 0.7500).
# The materials data stop here
The thin, outer ring should remain outside vagina.
Guide partner’s penis into opening of the condom.
To remove, gently twist outer ring and pull condom out of vagina.
Throw condom away. Do not re-use condoms.
*Internal condoms can also be used for anal sex. Follow the same general guidelines as those for vaginal sex outlined above.
Dental Dams
Dental dams are thin latex or polyurethane sheets used between the mouth and vagina or anus during oral sex. Dental dams act as a barrier to prevent STI transmission.
How To Use a Dental Dam
Get consent.
Check expiration date and open package carefully.
Between two parts of the piece: records of crystals:
┌──
! Pr2Nd3Dy | the Alexandria database | PBE-GGA | optimized geometry; values from VASP
! Relative energy among the computed polymorphs ... 0 meV/atom
! Energy of formation ... 0.0560 eV per atom
! Fermi-level density of states ... 8.89 states/eV/f.u.
! DFT total energy ... -4.6881 eV per atom
&SYSTEM
  ibrav = 0, nat = 12, ntyp = 3
/
ATOMIC_SPECIES
Pr 140.91 Pr.upf
Nd 144.24 Nd.upf
Dy 162.50 Dy.upf
ATOMIC_POSITIONS angstrom
Pr 0.0455 -0.4789 11.2847
Pr -0.0340 -1.1395 4.4448
Pr 0.0410 1.7294 2.2980
Pr 0.1205 2.3900 9.1378
Nd 1.6750 -0.8298 7.8497
Nd -1.5885 2.0803 5.7330
Nd -1.6782 -0.7643 7.8513
Nd 1.7647 2.0148 5.7313
Nd 3.3644 0.2369 3.3800
Nd -3.2779 1.0136 10.2026
Dy -3.4076 -2.4531 5.5340
Dy 3.4941 3.7037 8.0486
CELL_PARAMETERS angstrom
0.1788 6.3287 2.5336
-5.1168 -3.8307 6.6105
5.0246 -1.2474 4.4386

=====

Computed, not measured: a relaxed LiBr crystal at the GGA-PBE level of DFT.

The structure in CIF format:
```
data_LiBr
_chemical_formula_sum 'Li16 Br16'
_symmetry_space_group_name_H-M 'F d d d'
_symmetry_Int_Tables_number 70
_cell_length_a 8.6822
_cell_length_b 10.0817
_cell_length_c 11.3658
_cell_angle_alpha 90.00
_cell_angle_beta 90.00
_cell_angle_gamma 90.00
loop_
_symmetry_equiv_pos_as_xyz
'x,y,z'
'-x,-y,-z'
'-x+1/4,-y+1/4,z'
'x+1/4,y+1/4,-z'
'x,-y+1/4,-z+1/4'
'-x,y+1/4,z+1/4'
'-x+1/4,y,-z+1/4'
'x+1/4,-y,z+1/4'
'x,y+1/2,z+1/2'
'-x,-y+1/2,-z+1/2'
'-x+1/4,-y+3/4,z+1/2'
'x+1/4,y+3/4,-z+1/2'
'x,-y+3/4,-z+3/4'
'-x,y+3/4,z+3/4'
'-x+1/4,y+1/2,-z+3/4'
'x+1/4,-y+1/2,z+3/4'
'x+1/2,y,z+1/2'
'-x+1/2,-y,-z+1/2'
'-x+3/4,-y+1/4,z+1/2'
'x+3/4,y+1/4,-z+1/2'
'x+1/2,-y+1/4,-z+3/4'
'-x+1/2,y+1/4,z+3/4'
'-x+3/4,y,-z+3/4'
'x+3/4,-y,z+3/4'
'x+1/2,y+1/2,z'
'-x+1/2,-y+1/2,-z'
'-x+3/4,-y+3/4,z'
'x+3/4,y+3/4,-z'
'x+1/2,-y+3/4,-z+1/4'
'-x+1/2,y+3/4,z+1/4'
'-x+3/4,y+1/2,-z+1/4'
'x+3/4,-y+1/2,z+1/4'
loop_
_atom_site_label
_atom_site_fract_x
_atom_site_fract_y
_atom_site_fract_z
Li1 0.1250 0.1250 0.2701
Br1 0.1250 0.3210 0.1250
```

Calculated values
Crystal system = orthorhombic
Final energy = -105.689 eV per cell
D(E_F) = 0.000 states/eV/f.u.
ΔE_f (raw) = -1.51 eV/atom

=====

Computed, not measured: a relaxed LiBr5 crystal at the GGA-PBE level of DFT.

The structure in CIF format:
```
data_LiBr5
_chemical_formula_sum 'Li4 Br20'
_symmetry_space_group_name_H-M 'F -4 3 m'
_symmetry_Int_Tables_number 216
_symmetry_space_group_name_Hall 'F -4 2 3'
_cell_length_a 8.8497
_cell_length_b 8.8497
_cell_length_c 8.8497
_cell_angle_alpha 90.00
_cell_angle_beta 90.00
_cell_angle_gamma 90.00
loop_
_atom_site_label
_atom_site_fract_x
_atom_site_fract_y
_atom_site_fract_z
Li1 0.0000 0.0000 0.0000
Br1 0.1249 0.1249 0.3751
Br2 0.2500 0.2500 0.7500
```

Calculated values
Crystal system = cubic
Final energy = -37.797 eV per cell
Excess energy over the best structure of this formula in the dataset = 499.6 meV per atom
D(E_F) = 9.250 states/eV/f.u.
ΔE_f (raw) = 0.14 eV/atom

=====

Computed, not measured: a relaxed LiBr crystal at the GGA-PBE level of DFT.
└──
Unfold the dental dam and place it flat to over the vagina or anus.
Hold the dental dam in place during oral sex.
Throw the dental dam away after use. Do not re-use dental dams.